Easily find this page again using the shortlink: https://gpt.azrcrv.co.uk/IVC30101
Product: Microsoft Dynamics GP (0)
Series: Sales
Display Name: Invoicing Transaction History Group Display Name: Invoice History
Physical Name: IVC30101
Technical Name: IVC_HDR_HIST
Group Technical Name: Invoice History
Seq No | Physical Name | Display Name | Dexterity Data Type | SQL Data Type | Length | |
1 | DOCTYPE | Document Type | Integer | DDL_Document_Type | 0 | |
2 | INVCNMBR | Invoice Number | String | STR20_IVC_Document_Number | 17 | |
3 | BACHNUMB | Batch Number | String | STR15_LBAU | 15 | |
4 | BCHSOURC | Batch Source | String | STR15 | 15 | |
5 | PCKSLPNO | Packing Slip Number | String | STR20_IVC_Document_Number | 17 | |
6 | CUSTNMBR | Customer Number | String | STR15_RM_Customer_Number | 15 | |
Key to the RM Customer MSTR (RM00101).
Click to show/hideSELECT
['Invoicing Transaction History'].CUSTNMBR AS 'Invoicing Transaction History-Customer Number'
,['RM Customer MSTR'].CUSTNMBR AS 'RM Customer MSTR-Customer Number'
IVC30101 AS ['Invoicing Transaction History']
RM00101 AS ['RM Customer MSTR']
['Invoicing Transaction History'].CUSTNMBR = ['RM Customer MSTR'].CUSTNMBR | ||||||
7 | CUSTNAME | Customer Name | String | STR64_Customer_Name | 64 | |
8 | CSTPONBR | Customer PO Number | String | STR20_Document_Number | 20 | |
9 | POSTDATE | Post Date | Date | DT_Date | 6 | |
10 | GLPOSTDT | GL Posting Date | Date | DT | 8 | |
11 | DOCDATE | Document Date | Date | DT | 8 | |
12 | QUOTEDAT | Quote Date | Date | DT | 8 | |
13 | ORDRDATE | Order Date | Date | DT | 8 | |
14 | DISCDATE | Discount Date | Date | DT | 8 | |
15 | DUEDATE | Due Date | Date | DT | 8 | |
16 | HOLDNT | Hold NT | Boolean | CB | 0 | |
17 | SHIPMTHD | Shipping Method | String | STR15_Shipping_Method | 15 | |
Key to the Shipping Methods Master (SY03000).
Click to show/hideSELECT
['Invoicing Transaction History'].SHIPMTHD AS 'Invoicing Transaction History-Shipping Method'
,['Shipping Methods Master'].SHIPMTHD AS 'Shipping Methods Master-Shipping Method'
IVC30101 AS ['Invoicing Transaction History']
SY03000 AS ['Shipping Methods Master']
['Invoicing Transaction History'].SHIPMTHD = ['Shipping Methods Master'].SHIPMTHD | ||||||
18 | TAXEXMT1 | Tax Exempt 1 | String | STR25 | 25 | |
19 | TAXEXMT2 | Tax Exempt 2 | String | STR25 | 25 | |
20 | TAXSCHID | Tax Schedule ID | String | STR15_Tax_Schedule_ID | 15 | |
Key to the Sales/Purchases Tax Schedule Header Master (TX00101).
Click to show/hideSELECT
['Invoicing Transaction History'].TAXSCHID AS 'Invoicing Transaction History-Tax Schedule ID'
,['Sales/Purchases Tax Schedule Header Master'].TAXSCHID AS 'Sales/Purchases Tax Schedule Header Master-Tax Schedule ID'
IVC30101 AS ['Invoicing Transaction History']
TX00101 AS ['Sales/Purchases Tax Schedule Header Master']
['Invoicing Transaction History'].TAXSCHID = ['Sales/Purchases Tax Schedule Header Master'].TAXSCHID | ||||||
21 | FRTSCHID | Freight Schedule ID | String | STR15_LBAU | 15 | |
Key to the Sales/Purchases Tax Schedule Header Master (TX00101).
Click to show/hideSELECT
['Invoicing Transaction History'].FRTSCHID AS 'Invoicing Transaction History-Freight Schedule ID'
,['Sales/Purchases Tax Schedule Header Master'].TAXSCHID AS 'Sales/Purchases Tax Schedule Header Master-Tax Schedule ID'
IVC30101 AS ['Invoicing Transaction History']
TX00101 AS ['Sales/Purchases Tax Schedule Header Master']
['Invoicing Transaction History'].FRTSCHID = ['Sales/Purchases Tax Schedule Header Master'].TAXSCHID | ||||||
22 | FRGTTXBL | Freight Taxable | Integer | DDL_Tax_Options | 0 | |
23 | FRTTXAMT | Freight Tax Amount | Currency | DLR19_RBSO_UTR$ | 19 | |
24 | MSCSCHID | Misc Schedule ID | String | STR15_LBAU | 15 | |
Key to the Sales/Purchases Tax Schedule Header Master (TX00101).
Click to show/hideSELECT
['Invoicing Transaction History'].MSCSCHID AS 'Invoicing Transaction History-Misc Schedule ID'
,['Sales/Purchases Tax Schedule Header Master'].TAXSCHID AS 'Sales/Purchases Tax Schedule Header Master-Tax Schedule ID'
IVC30101 AS ['Invoicing Transaction History']
TX00101 AS ['Sales/Purchases Tax Schedule Header Master']
['Invoicing Transaction History'].MSCSCHID = ['Sales/Purchases Tax Schedule Header Master'].TAXSCHID | ||||||
25 | MISCTXBL | Misc Taxable | Integer | DDL_Tax_Options | 0 | |
26 | MSCTXAMT | Misc Tax Amount | Currency | DLR19_RBSO_UTR$ | 19 | |
27 | MRKDNAMT | Markdown Amount | Currency | DLR17_RBS0_UTR$ | 17 | |
28 | SLPRSNID | Salesperson ID | String | STR15_Salesperson_ID | 15 | |
Key to the RM Salesperson Master (RM00301).
Click to show/hideSELECT
['Invoicing Transaction History'].SLPRSNID AS 'Invoicing Transaction History-Salesperson ID'
,['RM Salesperson Master'].SLPRSNID AS 'RM Salesperson Master-Salesperson ID'
IVC30101 AS ['Invoicing Transaction History']
RM00301 AS ['RM Salesperson Master']
['Invoicing Transaction History'].SLPRSNID = ['RM Salesperson Master'].SLPRSNID | ||||||
29 | SALSTERR | Sales Territory | String | STR15_Sales_Territory | 15 | |
Key to the Sales Territory Master File (RM00303).
Click to show/hideSELECT
['Invoicing Transaction History'].SALSTERR AS 'Invoicing Transaction History-Sales Territory'
,['Sales Territory Master File'].SALSTERR AS 'Sales Territory Master File-Sales Territory'
IVC30101 AS ['Invoicing Transaction History']
RM00303 AS ['Sales Territory Master File']
['Invoicing Transaction History'].SALSTERR = ['Sales Territory Master File'].SALSTERR | ||||||
30 | TXRGNNUM | Tax Registration Number | String | STR25 | 25 | |
31 | PYMTRMID | Payment Terms ID | String | STR20_Payment_Terms_ID | 20 | |
Key to the Payment Terms Master (SY03300).
Click to show/hideSELECT
['Invoicing Transaction History'].PYMTRMID AS 'Invoicing Transaction History-Payment Terms ID'
,['Payment Terms Master'].PYMTRMID AS 'Payment Terms Master-Payment Terms ID'
IVC30101 AS ['Invoicing Transaction History']
SY03300 AS ['Payment Terms Master']
['Invoicing Transaction History'].PYMTRMID = ['Payment Terms Master'].PYMTRMID | ||||||
32 | PRCLEVEL | PriceLevel | String | STR10_LBAU | 10 | |
33 | LOCNCODE | Location Code | String | STR10_Location_Code | 10 | |
Key to the Site Setup (IV40700).
Click to show/hideSELECT
['Invoicing Transaction History'].LOCNCODE AS 'Invoicing Transaction History-Location Code'
,['Site Setup'].LOCNCODE AS 'Site Setup-Location Code'
Next to the piece, the page also holds crystal structures:
- - -
# 1
Material: MnCoPtI2
Method: DFT, GGA-PBE
State: relaxed

ρ in g/cm3: 8.12
Magnetization in μB per cell: 4.83
Uncorrected energy in eV per atom: -4.140
Volume in Å³/cell: 115.0
Raw formation energy in meV per atom: 944
Crystal system: tetragonal

a b c (Å): 4.9896 4.9896 4.6205
angles (deg): 90.00 90.00 90.00
Closest atoms and distances in Å follow each position.
Space group P4/mmm (No. 123)
Inequivalent atoms, fractional coordinates:
Mn 0.0000 0.0000 0.0000 (multiplicity 1)  2 Co 2.31
Co 0.0000 0.0000 0.5000 (multiplicity 1)  2 Mn 2.31, 4 I 2.49
Pt 0.5000 0.5000 0.0000 (multiplicity 1)  8 I 3.40, 4 Mn 3.53
I 0.0000 0.5000 0.5000 (multiplicity 2)  2 Co 2.49

# 2
Material: Mn2CoReI
Method: DFT, GGA-PBE
State: relaxed

ρ in g/cm3: 7.51
Magnetization in μB per cell: 7.25
Uncorrected energy in eV per atom: -6.123
Volume in Å³/cell: 106.5
Raw formation energy in meV per atom: 1766
Crystal system: tetragonal

a b c (Å): 4.4440 4.4440 5.3942
angles (deg): 90.00 90.00 90.00
Closest atoms and distances in Å follow each position.
Space group P4/mmm (No. 123)
Inequivalent atoms, fractional coordinates:
Mn 0.0000 0.5000 0.0000 (multiplicity 2)  2 Re 2.22
Co 0.0000 0.0000 0.5000 (multiplicity 1)  4 I 3.14, 8 Mn 3.49
Re 0.5000 0.5000 0.0000 (multiplicity 1)  4 Mn 2.22
I 0.5000 0.5000 0.5000 (multiplicity 1)  2 Re 2.70

# 3
Material: MnCo2RhI
Method: DFT, GGA-PBE
State: relaxed

ρ in g/cm3: 6.79
Magnetization in μB per cell: 6.86
Uncorrected energy in eV per atom: -4.909
Volume in Å³/cell: 98.4
Raw formation energy in meV per atom: 1547
Crystal system: tetragonal

a b c (Å): 4.5209 4.5209 4.8146
angles (deg): 90.00 90.00 90.00
Closest atoms and distances in Å follow each position.
Space group P4/mmm (No. 123)
Inequivalent atoms, fractional coordinates:
Mn 0.0000 0.0000 0.0000 (multiplicity 1)  2 I 2.41
Co 0.0000 0.5000 0.5000 (multiplicity 2)  2 I 2.26
Rh 0.5000 0.5000 0.0000 (multiplicity 1)  4 Mn 3.20, 8 Co 3.30
I 0.0000 0.0000 0.5000 (multiplicity 1)  4 Co 2.26, 2 Mn 2.41

# 4
Material: Mn2CoSI
Method: DFT, GGA-PBE
State: relaxed

ρ in g/cm3: 6.28
Magnetization in μB per cell: 0.17
Uncorrected energy in eV per atom: -5.087
Volume in Å³/cell: 86.7
Raw formation energy in meV per atom: 1137
Crystal system: tetragonal

a b c (Å): 4.6853 4.6853 3.9508
angles (deg): 90.00 90.00 90.00
Closest atoms and distances in Å follow each position.
Space group P4/mmm (No. 123)
Inequivalent atoms, fractional coordinates:
Mn 0.0000 0.5000 0.0000 (multiplicity 2)  2 Co 2.34
Co 0.0000 0.0000 0.0000 (multiplicity 1)  2 S 1.98
S 0.0000 0.0000 0.5000 (multiplicity 1)  2 Co 1.98
I 0.5000 0.5000 0.5000 (multiplicity 1)  8 Mn 3.06, 4 S 3.31

=====

No. 1
CuAg | PBE | relaxed Values from VASP.

```
&SYSTEM
  ibrav = 0, nat = 10, ntyp = 2
/
ATOMIC_SPECIES
Cu 63.55 Cu.upf
Ag 107.87 Ag.upf
CELL_PARAMETERS angstrom
11.087 -1.415 0.000
11.087 1.415 0.000
-0.407 0.000 4.791
ATOMIC_POSITIONS crystal
Cu 0.000 0.000 0.000
Cu 0.207 0.207 0.401
Cu 0.301 0.301 0.113
Cu 0.500 0.500 0.497
- - -
IVC30101 AS ['Invoicing Transaction History']
IV40700 AS ['Site Setup']
['Invoicing Transaction History'].LOCNCODE = ['Site Setup'].LOCNCODE | ||||||
34 | CURNCYID | Currency ID | String | STR15_Currency_ID | 15 | |
Key to the Currency Setup (MC40200).
Click to show/hideSELECT
['Invoicing Transaction History'].CURNCYID AS 'Invoicing Transaction History-Currency ID'
,['Currency Setup'].CURNCYID AS 'Currency Setup-Currency ID'
IVC30101 AS ['Invoicing Transaction History']
DYNAMICS..MC40200 AS ['Currency Setup']
['Invoicing Transaction History'].CURNCYID = ['Currency Setup'].CURNCYID | ||||||
35 | COMMNTID | Comment ID | String | STR15_Comment_ID | 15 | |
Key to the Comment Master (SY04200).
Click to show/hideSELECT
['Invoicing Transaction History'].COMMNTID AS 'Invoicing Transaction History-Comment ID'
,['Comment Master'].COMMNTID AS 'Comment Master-Comment ID'
IVC30101 AS ['Invoicing Transaction History']
SY04200 AS ['Comment Master']
['Invoicing Transaction History'].COMMNTID = ['Comment Master'].COMMNTID | ||||||
36 | DOCAMNT | Document Amount | Currency | DLR19_RBSO_UTR$ | 19 | |
37 | SUBTOTAL | Subtotal | Currency | DLR17_RBS0_STR$ | 17 | |
38 | FRTAMNT | Freight Amount | Currency | DLR17_RBS0_UTR$ | 17 | |
39 | MISCAMNT | Misc Amount | Currency | DLR17_RBS0_UTR$ | 17 | |
40 | TAXAMNT | Tax Amount | Currency | DLR17_RBS0_UTR$ | 17 | |
41 | TXBTXAMT | Taxable Tax Amount | Currency | DLR19_RBSO_UTR$ | 19 | |
42 | TRDISAMT | Trade Discount Amount | Currency | DLR17_RBS0_UTR$ | 17 | |
43 | ACCTAMNT | Account Amount | Currency | DLR19_RBS0_UTR$ | 19 | |
44 | PYMTRCVD | Payment Received | Currency | DLR19_RBS0_UTR$ | 19 | |
45 | CODAMNT | COD Amount | Currency | DLR17_RBS0_UTR$ | 17 | |
46 | EXTDCOST | Extended Cost | Currency | DLR17_RBS0_UTR$ | 17 | |
47 | DISAVTKN | Discount Available Taken | Currency | DLR17_RBS0_UTR$ | 17 | |
48 | DISCRTND | Discount Returned | Currency | DLR17_RBS0_STR$ | 17 | |
49 | DISTKNAM | Discount Taken Amount | Currency | DLR17_RBS0_UTR$ | 17 | |
50 | DISAVAMT | Discount Available Amount | Currency | DLR17_RBS0_UTR$ | 17 | |
51 | DSCDLRAM | Discount Dollar Amount | Currency | DLR11_RBS0_UTR$ | 11 | |
52 | DSCPCTAM | Discount Percent Amount | Integer | INT5_%2 | 5 | |
53 | PRBTADCD | Primary Billto Address Code | String | STR15_LBAU | 15 | |
54 | PRSTADCD | Primary Shipto Address Code | String | STR15_LBAU | 15 | |
55 | CNTCPRSN | Contact Person | String | STR60 | 60 | |
56 | ADDRESS1 | Address 1 | String | STR60 | 60 | |
57 | ADDRESS2 | Address 2 | String | STR60 | 60 | |
58 | ADDRESS3 | Address 3 | String | STR60 | 60 | |
59 | CITY | City | String | STR35 | 35 | |
60 | STATE | State | String | STR30_State | 29 | |
61 | ZIPCODE | Zip Code | String | STR10 | 10 | |
62 | CCode | Country Code | String | STR6_VAT | 6 | |
Key to the VAT Country Code MSTR (VAT10001).
Click to show/hideSELECT
['Invoicing Transaction History'].CCode AS 'Invoicing Transaction History-Country Code'
**These calculated crystals were left in the page by mistake:**
<<<
# GdDyGa2

Crystalline GdDyGa2 at its relaxed geometry (PBE, OQMD).

Unit cell a=4.073 b=4.359 c=10.926 alpha=90.00 beta=90.00 gamma=90.00
Sites, in units of the cell vectors:
Gd 0.000 0.000 0.000
Gd 0.000 0.500 0.500
Dy 0.500 0.000 0.279
Dy 0.500 0.500 0.779
Ga 0.000 0.000 0.716
Ga 0.000 0.500 0.216
Ga 0.500 0.000 0.563
Ga 0.500 0.500 0.063

**Crystal system**: orthorhombic
**Total moment**: 0.33 μB per cell
**Electronic total energy**: -0.1637 hartree per atom

# HfMoAu

Crystalline HfMoAu at its relaxed geometry (PBE, OQMD).

Unit cell a=6.328 b=6.328 c=6.328 alpha=90.00 beta=90.00 gamma=90.00
Sites, in units of the cell vectors:
Hf 0.000 0.000 0.000
Hf 0.000 0.500 0.500
Hf 0.500 0.000 0.500
Hf 0.500 0.500 0.000
Mo 0.000 0.000 0.500
Mo 0.000 0.500 0.000
Mo 0.500 0.000 0.000
Mo 0.500 0.500 0.500
Au 0.250 0.250 0.250
Au 0.250 0.750 0.750
Au 0.750 0.250 0.750
Au 0.750 0.750 0.250

**Crystal system**: cubic
**Total moment**: 4.10 μB per cell
**ΔH_f (0 K)**: 566 meV/atom
**Electronic total energy**: -0.2740 hartree per atom
**Energy relative to the lowest polymorph listed for this composition**: 0.000 eV/f.u.

# BaMgPa

Crystalline BaMgPa at its relaxed geometry (PBE, OQMD).

Unit cell a=7.787 b=7.787 c=7.787 alpha=90.00 beta=90.00 gamma=90.00
Sites, in units of the cell vectors:
Ba 0.000 0.000 0.000
Ba 0.000 0.500 0.500
Ba 0.500 0.000 0.500
Ba 0.500 0.500 0.000
Mg 0.250 0.250 0.250
Mg 0.250 0.750 0.750
Mg 0.750 0.250 0.750
Mg 0.750 0.750 0.250
Pa 0.000 0.000 0.500
Pa 0.000 0.500 0.000
Pa 0.500 0.000 0.000
Pa 0.500 0.500 0.500

**Crystal system**: cubic
**Total moment**: 12.46 μB per cell
**Electronic total energy**: -0.1169 hartree per atom
**Energy relative to the lowest polymorph listed for this composition**: 0.000 eV/f.u.

=====

No. 1
InRe2Pt (PBE, optimized geometry); total energy = -7.963 eV per atom; formation enthalpy at 0 K = 0.456 eV per atom
1.0
0.0000 3.2061 3.2061
3.2061 0.0000 3.2061
3.2061 3.2061 0.0000
In Re Pt
1 2 1
direct
0.0000 0.0000 0.0000
0.5000 0.5000 0.5000
0.7500 0.7500 0.7500
0.2500 0.2500 0.2500



No. 2
InRePt (PBE, optimized geometry); total energy = -6.594 eV per atom; energy above the lowest structure with this stoichiometry = 354 meV per atom; formation enthalpy at 0 K = 0.482 eV per atom
1.0
0.0000 3.1050 3.1050
3.1050 0.0000 3.1050
3.1050 3.1050 0.0000
In Re Pt
1 1 1
direct
0.0000 0.0000 0.0000
0.5000 0.5000 0.5000
0.7500 0.7500 0.7500



No. 3
InRe2Pt (PBE, optimized geometry); total energy = -8.279 eV per atom; formation enthalpy at 0 K = 0.140 eV per atom
1.0
2.8642 0.0000 0.0000
0.0000 3.9188 0.0000
0.0000 0.0000 5.8961
In Re Pt
1 2 1
direct
0.0000 0.0000 0.0000
0.0000 0.0000 0.5188
0.5000 0.5000 0.7019
0.5000 0.5000 0.2383



No. 4
InRe2Pt (PBE, optimized geometry); total energy = -8.172 eV per atom; formation enthalpy at 0 K = 0.247 eV per atom
1.0
4.6224 -1.4152 0.0000
4.6224 1.4152 0.0000
-0.7192 0.0000 5.0082
In Re Pt
1 2 1
direct
0.0000 0.0000 0.0000
0.2426 0.2426 0.6916
0.4970 0.4970 0.5109
>>>
,['VAT Country Code MSTR'].CCode AS 'VAT Country Code MSTR-Country Code'
IVC30101 AS ['Invoicing Transaction History']
VAT10001 AS ['VAT Country Code MSTR']
['Invoicing Transaction History'].CCode = ['VAT Country Code MSTR'].CCode | ||||||
63 | COUNTRY | Country | String | STR60 | 60 | |
64 | PHNUMBR1 | Phone Number 1 | String | Phone_Number | 14 | |
65 | PHNUMBR2 | Phone Number 2 | String | Phone_Number | 14 | |
66 | PHONE3 | Phone 3 | String | Phone_Number3 | 14 | |
67 | FAXNUMBR | Fax Number | String | STR14_FAX | 14 | |
68 | COMAPPTO | Commission Applied To | Integer | GB | 0 | |
69 | COMDLRAM | Commission Dollar Amount | Currency | DLR17_RBSO_STR$ | 17 | |
70 | NCOMAMNT | Non-Commissioned Amount | Currency | DLR19_RBS0_STR$ | 19 | |
71 | UPSZONE | UPS Zone | String | STR3 | 3 | |
72 | LSTUSRED | Last User to Edit | String | STR15 | 15 | |
Key to the Users Master (SY01400).
Click to show/hideSELECT
['Invoicing Transaction History'].LSTUSRED AS 'Invoicing Transaction History-Last User to Edit'
,['Users Master'].USERID AS 'Users Master-User ID'
IVC30101 AS ['Invoicing Transaction History']
DYNAMICS..SY01400 AS ['Users Master']
['Invoicing Transaction History'].LSTUSRED = ['Users Master'].USERID | ||||||
73 | LSTEDTDT | Last Edit Date | Date | DT_Date | 6 | |
74 | MODIFDT | Modified Date | Date | DT | 8 | |
75 | CREATDDT | Created Date | Date | DT | 8 | |
76 | USER2ENT | User To Enter | String | STR15_User_ID | 15 | |
Key to the Users Master (SY01400).
Click to show/hideSELECT
['Invoicing Transaction History'].USER2ENT AS 'Invoicing Transaction History-User To Enter'
,['Users Master'].USERID AS 'Users Master-User ID'
IVC30101 AS ['Invoicing Transaction History']
DYNAMICS..SY01400 AS ['Users Master']
['Invoicing Transaction History'].USER2ENT = ['Users Master'].USERID | ||||||
77 | NOTEINDX | Note Index | Currency | DLR14 | 14 | |
Key to the Record Notes Master (SY03900).
Click to show/hideSELECT
['Invoicing Transaction History'].NOTEINDX AS 'Invoicing Transaction History-Note Index'
,['Record Notes Master'].NOTEINDX AS 'Record Notes Master-Note Index'
IVC30101 AS ['Invoicing Transaction History']
SY03900 AS ['Record Notes Master']
['Invoicing Transaction History'].NOTEINDX = ['Record Notes Master'].NOTEINDX | ||||||
78 | TIMESPRT | Times Printed | Integer | INT4_U0 | 4 | |
79 | NOCARTNS | Number Of Cartons | Integer | INT4_U0 | 4 | |
80 | USERDEF1 | User Defined 1 | String | STR20 | 20 | |
81 | USERDEF2 | User Defined 2 | String | STR20 | 20 | |
82 | VOIDSTTS | Void Status | Integer | INT | 0 | |
83 | TRXSORCE | TRX Source | String | STR13 | 13 | |
84 | LNITMSEQ | Line Item Sequence | Long Integer | LI_Sequence_Number | 10 | |
85 | COMMENT | Comment | STR50 | String | 50 | |
86 | COMMENT_1 | Comment[1] | String | STR50 | 50 | |
87 | COMMENT_2 | Comment[2] | String | STR50 | 50 | |
88 | COMMENT_3 | Comment[3] | String | STR50 | 50 | |
89 | COMMENT_4 | Comment[4] | String | STR50 | 50 | |
90 | ECTRX | EC Transaction | Boolean | CB_EC_Transaction | 0 | |
The field is set to true for each VAT Line Analysis record, if the user marks the transaction as being an EC Transaction.
Click to show/hide Document Printed flag
0 Not an EU Transaction.
1 EU Transaction. | ||||||
91 | ShipToName | ShipToName | String | STR64_Customer_Name | 64 | |
92 | Tax_Date | Tax Date | Date | DT | 8 | |
93 | APLYWITH | Apply Withholding | Boolean | Boolean | 0 | |
94 | WITHHAMT | Withholding Amount | Currency | DLR19_RBSO_UTR$ | 19 | |
95 | CMMTTEXT | Comment Text | Text | TX500 | 500 |